[Contents]
┌──
Material: CaSnBiO5
Method: DFT, PBE
State: optimized geometry

Unit cell a=5.5197 b=10.5621 c=15.8925 alpha=90.00 beta=90.00 gamma=90.00
Closest atoms and distances in Å follow each position.
Sites, in units of the cell vectors:
1 O 0.6256 0.8107 0.6834  1 Sn 2.15, 2 Bi 2.23-2.26
2 Sn 0.5379 0.1199 0.4300  6 O 2.06-2.21
3 O 0.7392 0.0114 0.3388  1 Sn 2.16
4 Sn 0.4621 0.3801 0.9300  6 O 2.06-2.21
5 O 0.8744 0.8107 0.1834  1 Sn 2.15, 2 Bi 2.23-2.26
6 Bi 0.4707 0.6474 0.7546  5 O 2.19-2.44
7 Bi 0.4707 0.1474 0.7454  5 O 2.19-2.44
8 O 0.3744 0.6893 0.1834  1 Sn 2.15, 2 Bi 2.23-2.26
9 Sn 0.0379 0.3801 0.4300  6 O 2.06-2.21
10 Ca 0.4570 0.6312 0.4312  7 O 2.32-2.53
11 O 0.7608 0.0114 0.8388  1 Sn 2.16
12 O 0.2222 0.4957 0.5265  2 Sn 2.06-2.21
13 O 0.2778 0.4957 0.0265  2 Sn 2.06-2.21
14 Bi 0.9707 0.8526 0.7546  5 O 2.19-2.44
15 O 0.7944 0.2438 0.4778  2 Sn 2.07-2.11
16 Bi 0.0293 0.6474 0.2546  5 O 2.19-2.44
17 O 0.2392 0.4886 0.3388  1 Sn 2.16
18 O 0.7335 0.2197 0.1666  2 Bi 2.19, 1 Ca 2.37
19 Ca 0.5430 0.3688 0.5688  7 O 2.32-2.53
20 O 0.7778 0.5043 0.4735  2 Sn 2.06-2.21
21 O 0.1256 0.1893 0.8166  1 Sn 2.15, 2 Bi 2.23-2.26
22 O 0.2222 0.9957 0.9735  2 Sn 2.06-2.21
23 Bi 0.5293 0.3526 0.2454  5 O 2.19-2.44
24 O 0.3744 0.1893 0.3166  1 Sn 2.15, 2 Bi 2.23-2.26
25 O 0.2056 0.2562 0.9778  2 Sn 2.07-2.11
26 O 0.6256 0.3107 0.8166  1 Sn 2.15, 2 Bi 2.23-2.26
27 O 0.2778 0.9957 0.4735  2 Sn 2.06-2.21
28 O 0.7335 0.7197 0.3334  2 Bi 2.19, 1 Ca 2.37
29 O 0.7778 0.0043 0.0265  2 Sn 2.06-2.21
30 Sn 0.4621 0.8801 0.5700  6 O 2.06-2.21
31 Sn 0.9621 0.6199 0.5700  6 O 2.06-2.21
32 Sn 0.0379 0.8801 0.0700  6 O 2.06-2.21
33 Ca 0.9570 0.3688 0.0688  7 O 2.32-2.53
34 O 0.2335 0.2803 0.1666  2 Bi 2.19, 1 Ca 2.37
35 O 0.2608 0.9886 0.6612  1 Sn 2.16
36 O 0.7608 0.5114 0.6612  1 Sn 2.16
37 O 0.2944 0.2562 0.4778  2 Sn 2.07-2.11
38 O 0.2665 0.7803 0.8334  2 Bi 2.19, 1 Ca 2.37
39 Ca 0.4570 0.1312 0.0688  7 O 2.32-2.53
40 O 0.7056 0.2438 0.9778  2 Sn 2.07-2.11
41 O 0.2056 0.7562 0.5222  2 Sn 2.07-2.11
42 Bi 0.0293 0.1474 0.2454  5 O 2.19-2.44
43 O 0.7665 0.7197 0.8334  2 Bi 2.19, 1 Ca 2.37
44 O 0.7665 0.2197 0.6666  2 Bi 2.19, 1 Ca 2.37
45 Bi 0.5293 0.8526 0.2546  5 O 2.19-2.44
46 Sn 0.9621 0.1199 0.9300  6 O 2.06-2.21
47 O 0.7222 0.5043 0.9735  2 Sn 2.06-2.21
48 O 0.1256 0.6893 0.6834  1 Sn 2.15, 2 Bi 2.23-2.26
49 O 0.2944 0.7562 0.0222  2 Sn 2.07-2.11
50 Sn 0.5379 0.6199 0.0700  6 O 2.06-2.21
51 O 0.2392 0.9886 0.1612  1 Sn 2.16
52 O 0.2665 0.2803 0.6666  2 Bi 2.19, 1 Ca 2.37
53 O 0.7222 0.0043 0.5265  2 Sn 2.06-2.21
54 Ca 0.0430 0.1312 0.5688  7 O 2.32-2.53
55 O 0.7392 0.5114 0.1612  1 Sn 2.16
56 O 0.2335 0.7803 0.3334  2 Bi 2.19, 1 Ca 2.37
57 Ca 0.9570 0.8688 0.4312  7 O 2.32-2.53
58 Ca 0.5430 0.8688 0.9312  7 O 2.32-2.53
59 Ca 0.0430 0.6312 0.9312  7 O 2.32-2.53
60 O 0.7944 0.7438 0.0222  2 Sn 2.07-2.11
61 O 0.8744 0.3107 0.3166  1 Sn 2.15, 2 Bi 2.23-2.26
62 Bi 0.9707 0.3526 0.7454  5 O 2.19-2.44
63 O 0.2608 0.4886 0.8388  1 Sn 2.16
64 O 0.7056 0.7438 0.5222  2 Sn 2.07-2.11

Properties
Total moment ... 0.00 μB/atom
ΔE to the lowest computed polymorph ... 0 meV per atom
ΔE_f ... -2133 meV per atom
Density ... 6.42 g cm⁻³



Material: In2P3S9
Method: DFT, PBE
State: optimized geometry

Unit cell a=10.6851 b=7.4110 c=18.5517 alpha=73.85 beta=90.00 gamma=90.00
Closest atoms and distances in Å follow each position.
Sites, in units of the cell vectors:
1 S 0.0092 0.7698 0.9174  1 P 2.02
2 S 0.6547 0.7582 0.5814  1 P 2.03
3 S 0.4954 0.7713 0.0826  1 P 2.09
4 In 0.1790 0.0017 0.4897  6 S 2.60-2.79
5 S 0.3442 0.7664 0.5788  1 P 2.07
6 P 0.4865 0.8413 0.1839  3 S 2.02-2.09, 1 P 2.25
7 S 0.4908 0.7698 0.4174  1 P 2.02
8 P 0.5135 0.1587 0.8161  3 S 2.02-2.09, 1 P 2.25
9 P 0.0038 0.1577 0.9859  3 S 2.02-2.07, 1 P 2.25
10 P 0.0135 0.8413 0.6839  3 S 2.02-2.09, 1 P 2.25
11 S 0.8442 0.2336 0.9212  1 P 2.07
12 S 0.9908 0.2302 0.0826  1 P 2.02
13 S 0.8453 0.7582 0.0814  1 P 2.03
14 In 0.6790 0.9983 0.0103  6 S 2.60-2.79
15 In 0.3210 0.0017 0.9897  6 S 2.60-2.79
└──

[Exercise]
Now work out how many lines further up have the word "lowest" in them; a number is enough.

[Reply]
1